Rembrandt Harmenszoon van Rijn was a Dutch draughtsman, painter, and printmaker. An innovative and prolific master in three media, he is generally considered one of the greatest visual artists in the history of art and the most important in Dutch art history.
Time to get out
Luke 15:13-14 (NLT)
13 “A few days later this younger son packed all his belongings and moved to a distant land, and there he wasted all his money in wild living.14 About the time his money ran out, a great famine swept over the land, and he began to starve.
Life is full of “famine.” It is the mercy of God that allows sinners to feel pain. We get in God’s way when we relieve pain before behavior changes. Some people have an attitude; they say, “Have to find out for myself.” You don’t have to find out for yourself; it’s better if you do it, God’s way from the beginning, and then keeps ongoing.
Luke 15:15 (NLT)
15 He persuaded a local farmer to hire him, and the man sent him into his fields to feed the pigs.
1.This is the greatest!

Good or Bad, there is only one first time.
First time seeing a movie
First time being on your own
First time drunk
First High
First time hearing a great song
God’s blessings increases
The thing about God is when you are walking in his blessing, it increases. God’s gift is getting better and better when you build a relationship on that foundation. The blessing of God when you do things his way as time goes on, the blessing swells.
But all wisdom comes down to one principle: giving up something that you want now for something better later. Sometimes we don’t understand, and we question God, “Why in the world are you not letting me have what I want.” There’s come a day in your life when you and God are going to disagree, and that’s the time when you decide whether you have faith or you don’t have faith.
Satan’s traps decrease
It’s so typical to think that my way is better than God’s way. Why be with one woman when I can be lots of women, but when it comes to the end of that, well, there’s emptiness and loneness. There are deep depression and loneness. The real blessing is one woman married for one year; that is the blessing. God’s gift, unlike the enemy’s blessing, it gets better and better. His blessings grow. Whereas the enemy gets you on a sinful hook, it decreases, so we love more and more.
It is hard to convince someone sin is bad at this stage
When you are in the midst of the party and everything is fun, it’s hard to convince somebody that their life is going the wrong way. Sometimes it’s good to be like the father in the story of the “Prodigal son” and take a step back because the world is going to hurt them. God doesn’t have to break them, but when you live contrary to God’s way, life hurts more than just the truth of it. When you live contrary to God’s plan for your life, you are going to hurt.

2.Blissful ignorance

You can’t even talk to them. When you preach sin to them and don’t want to hear it, it’s wasted breath. All you can do at that place is love them unconditionally and communicate that love to them every chance you get.

Cognitive dissonance, they are living in ignorance. Our culture is living in cognitive dissonance right now.
Example of Cognitive Dissonance.
The vegan will not eat the chicken egg, but they’re pro-abortion, which is cognitive dissonance.
When you bring that up with somebody living that self-delusion, they kind of go of crazy they don’t like it, they get furious.
Romans 1:21 (NLT) 21 Yes, they knew God, but they wouldn’t worship him as God or even give him thanks. And they began to think up foolish ideas of what God was like. As a result, their minds became dark and confused.
Creating a religion that everything is okay with what you’re doing because they want to, but part of time still knows that it’s not true. And that’s where that uncomfortable feeling comes from people’s heads, and that’s why they get so angry. They know the truth part of them knows that they’re doing is wrong; the Holy spirit conviction is there.
Let the world and Holy Spirit work on them, and then you love unconditionally.
Anger is the response when you challenge a delusion. They only read and watch things they agree with; they only listen to certain people; they seek out things to reinforce their illusion.
3.It is never enough

Anything without eternal meaning, will leave you longing.

Remember when you are serving God, I can tell you that the adventure you are living today serving Jesus, it gets better and better.

When the shame comes, then you realize, “oh my gosh, my mom and dad were right.”
The wages of sin is death.

### Attached: quantum chemistry results
'''
Density functional theory data (the ωB97M-V functional and the def2-TZVPD basis) for an isolated molecule of C4H2N2O.

Results
Net charge: 0
E_HOMO: -10.40 eV
Energy above the lowest of the compared OMol25 structures with the same formula, charge and spin: 79.70 kcal per mole
Total energy: -338.214420 Ha
SMILES: N#Cc1ccon1

XYZ file:
```
9
Properties=species:S:1:pos:R:3:forces:R:3
O 1.171945 -0.177933 1.447121 -0.6 -1.0 -0.3
N -1.638458 0.976396 -2.174473 8.9 0.8 8.3
N 0.755954 0.927495 0.654320 -2.2 -5.3 -1.2
C -0.132595 0.263949 -0.207139 3.8 1.9 2.9
C -0.693150 0.990139 -1.243351 -10.6 -0.3 -9.9
C 0.545522 -1.432874 1.084262 1.4 3.7 -0.2
C -0.225383 -1.136607 -0.016617 -0.7 -0.8 1.9
H 0.907366 -2.280876 1.717442 -0.7 0.9 -0.9
H -1.071763 -1.730536 -0.356263 0.7 0.0 -0.5
```
Positions in Å, forces in eV/Å.

Atom charges from the natural (NBO) analysis, given in e for atoms 1 to 5:
1 O -0.30
2 N -0.23
3 N 0.00
4 C -0.04
5 C 0.24

Density functional theory data (the ωB97M-V functional and the def2-TZVPD basis) for a cluster of 2 separate species, CHBrO in total.

Results
<S²>: 2.032
Net charge: 0
E_HOMO (spin up / spin down): -8.54 / -11.36 eV
Energy above the lowest of the compared OMol25 structures with the same formula, charge and spin: 67.66 kcal per mole
Total energy: -2687.686175 Ha
Spin multiplicity: 3

XYZ file:
```
4
Properties=species:S:1:pos:R:3:forces:R:3
Br 0.166175 1.850043 -0.622626 0.2 0.5 0.2
O -0.300881 -0.968285 -0.497916 0.6 -1.5 4.0
C 0.366357 0.647092 0.704933 -0.4 -0.6 -1.1
H -0.231651 -1.528850 0.415609 -0.3 1.6 -3.2
```
Positions in Å, forces in eV/Å.

And the natural (NBO) charges, in e, turn out to be:
1 Br 0.17
2 O -0.54
3 C -0.08
4 H 0.46

Density functional theory data (the ωB97M-V functional and the def2-TZVPD basis) for a cluster of 9 separate species, C46H55F36NO20P in total.

Results
Net charge: -1
E_HOMO: -5.18 eV
Total energy: -7281.944525 Ha

XYZ file:
```
159
Properties=species:S:1:pos:R:3:forces:R:3
P 3.191991 -1.095878 2.766776 3.0 1.3 1.9
F -3.057988 -10.020959 7.627500 -0.1 0.2 -0.2
F -3.317679 3.990702 -1.732482 -0.3 -0.2 0.0
F -0.992970 -3.272196 1.614513 0.7 0.2 -0.6
F -2.603234 -1.271426 -8.121416 0.1 -0.2 0.2
F -2.472397 -2.913407 -9.512071 0.1 -0.3 0.2
F -4.169122 -2.225844 2.693571 -0.9 0.2 1.9
F 2.757236 -3.519060 -0.736175 -0.5 0.6 -0.1
F 0.408443 -3.884627 9.834858 -0.3 0.2 0.2
F -2.609879 -3.672150 4.616582 1.3 1.1 -1.3
F -2.651241 3.636941 -3.749021 -0.6 -0.6 -0.1
F 0.997584 6.148000 1.712528 0.1 0.3 -0.3
F -4.826988 -11.083746 7.026949 -0.1 0.3 -0.3
F 2.063173 -3.411541 -2.780695 0.0 0.3 0.7
F 1.214693 3.219153 8.309379 -0.1 0.3 -0.1
F 9.006954 1.945429 -12.252870 -0.2 0.1 0.3
F -1.200642 -1.888805 -0.443473 1.2 -0.2 0.2
F -1.720532 2.599907 -2.113099 -0.2 -0.3 0.0
F -4.501414 -0.818936 4.468894 1.1 0.1 -1.6
F 1.206685 1.881855 6.620320 -0.1 0.3 -0.3
F -0.878565 -1.471874 -9.387873 0.2 -0.3 0.3
F 0.729480 -4.442540 0.990650 -0.2 1.1 -0.8
F 7.146581 1.478816 -13.228384 -0.2 0.1 0.3
'''

One thing that can interrupt the cycle of sin is terrible pain. People can finally get to the end of the rope. The problem isn’t enough. I have seen so many people experience so much pain. The Holy Spirit is our partner in this, the Holy Spirit conviction can interrupt the cycle, but the Holy Spirit exposes the truth in them; there’s going something to happens. In other words, they’re in that moment, and then they realize.
Shame it could be a good thing at the right time; it’s appropriate to feel shame when you’ve been shameful. The heart knows even if the mind denies
Romans 1:19 (NLT) 19 They know the truth about God because he has made it obvious to them.
God makes truth obvious.
You can belong before you believe
Our motto—which we love to put on signs and t-shirts—is “at the Rock you belong before you believe.” We believe that we can love and respect people without having to agree. So, even if you don’t believe in God at all, we would like to have you as part of our family. We trust God to reveal himself to you through the preaching and the way we live our lives.